5.5.1. Background and Sources: PCBs
Polychlorinated biphenyls, PCBs, are synthetic chemical mixtures that were used for their nonflammable and insulating properties until they were restricted in the U.S. in the 1970s. They provided temperature control in transformers and capacitors and were also used for lubrication and other heat transfer applications. They were sold primarily under the name of Arochlors in the U.S. They are still found in old fluorescent lighting fixtures, appliances containing pre-1977 PCB capacitors, and old hydraulic oil. The characteristics of the fluids were changed by modifying the mixture components, so each of the major Arochlor formulations is composed of different concentrations and combinations of the 209 PCB chemicals. Until the mid-1970s, PCBs were also used in manufacturing processes for a wide range of different substances, from plastics to paint additives. By 1979, the manufacture of PCBs in the U.S. was prohibited and their import, use, and disposal, were regulated by EPA (EPA 1979). In the 1980s, Jacksonville was the site of several electrical testing and service businesses which intentionally and unintentionally dispersed PCB-contaminated fluids (i.e., waste oil) into or near the LSJR. Waste oil uses and spills from locomotive wastes has also contributed PCBs near the LSJR. One of the most visible PCB legacies in the U.S. is the Hudson River, where capacitor plants discharged wastewaters into the river resulting in contaminated sediments in rivers and estuaries for decades to come.
PCBs are inert, which makes them industrially valuable but environmentally harmful. They do not react readily with microbes and sunlight or degrade through other traditional pathways. They are not very soluble in water, so the lighter ones tend to evaporate, and the heavier ones tend to associate with particles, whether in the air, soil, or sediments. Another important chemical property of PCBs’ is that they are compatible with fatty tissue, allowing extensive uptake and bioaccumulation in the fats of plants and animals. They are readily biomagnified because they are not easily metabolized and excreted.
PCBs are introduced directly into the environment today primarily from hazardous waste sites and improper disposal of old appliances and oils. However, they also may be transported long distances in the atmosphere, either in gas form or attached to particles. The principal route of PCB transport to aquatic environments is from waste stream waters, downstream movement by means of solution and re-adsorption onto particles, and the transport of sediment itself, until eventually reaching estuaries and coastal waters. Like PAHs, sometimes sources of PCB contamination can be elucidated by examining different patterns of contamination of the different PCB constituents, but several processes obscure those patterns. Weathering, currents and tides, multiple sources in a large drainage basin, and repeated cycles of evaporation, sorption and deposition all tend to mix everything up so individual sources are not usually identifiable unless there is a very specific, current source.
Because of methodological developments over the years and variable definitions of “total PCBs”, it is not feasible to compare total PCB or mixture concentrations (like Arochlors). Consequently, several individual PCBs were evaluated here, and total PCBs were estimated from those values. The specific eight PCBs we decided to evaluate were selected based on their presence in the LSJR and on the availability of comparable data. We estimate that the PCBs we examined in this study represent 20% of the total PCBs that were actually present.
5.5.2. Fate: PCBs
PCBs have a high affinity for suspended solids (organic matter) and are very insoluble in water. Due to their properties, PCBs are found in much higher concentrations in sediment and biota than in water. Sediment can become a significant source as well, because of desorption, diffusion, and possible re-suspension of PCBs in the water column. Removing contaminated sediments is the predominant mechanism of PCB removal.
5.5.3. Toxicity: PCBs
The effects of PCBs on wildlife as a result of waterway contamination have been extensively documented over the years. During the 1960s, mink farmers in the Great Lakes region fed their mink fish from Lake Michigan tributaries that had been contaminated with PCBs. These ranch minks suffered severe outcomes including high mortality rates and reproductive failure. PCB contamination in the Hudson River from 1947-1977 by the General Electric Company led to fishing bans that were not changed until 1995 when fishing became permissible on a catch-and-release basis only. The state of New York recommends that children under age 15 and pregnant women not eat any fish from the 200-mile stretch of the river that has been designated as an EPA Superfund site.
PCBs can bioaccumulate in the fat tissue of organisms since they are highly lipophilic (Fisk et al. 2001; Cailleaud et al. 2009) and can also be directly toxic to aquatic organisms. Cailleaud et al. 2009 reported a preferential accumulation of HMW PCBs and preferential elimination of LMW PCBs in an estuarine copepod. Unlike PAHs, PCBs can biomagnify up the food chain and top-level carnivores are particularly susceptible to toxicity (Guillette Jr. et al. 1999). Since PCBs are chemically inert, they are highly resistant to chemical breakdown and are therefore very persistent in the environment. Sepúlveda et al. 2002 reported the accumulation of PCBs in the livers of Florida largemouth bass collected from different locations in the LSJR. The liver PCB concentrations were highest in the largemouth bass collected from Green Cove and Julington Creek, as compared with those collected from Welaka. PCBs exert toxicity in aquatic organisms primarily via endocrine disruption and neurotoxicity (Fossi and Marsili 2003). Reported effects of PCB exposure include male feminization due to increased estradiol, reduced male and female fertility, modified immune system, and altered reproductive behavior. Acute toxicity values (96 h LC50s) range from 12 µg/L to 10 mg/L for aquatic invertebrates and range from 8 µg/L to 100 mg/L for fish. Bergeron et al. 1994 demonstrated an increased percentage of female hatchling turtles after exposure of the eggs to PCBs in the laboratory. Likewise, Guillette Jr. et al. 1999 reported reproductive abnormalities in the hatchling and juvenile alligators of Lake Apopka, FL, thought to have been caused by embryonic exposure to PCBs and other environmental contaminants. However, Sepulveda et al. 2004 also recently reported thiamine deficiency in Florida alligators as another potential cause of the population declines.
Due to their endocrine-disrupting properties, PCBs may threaten aquatic ecosystems at both the individual and the population level.
5.5.4. Current Status: PCBs in Sediments and Water
PCBs are produced only by human activity, so their simple presence denotes human impact. The majority of LSJR sediments contained some PCBs. In 2017 (greatest data set), the estimated total PCB concentrations in LSJR sediments were greater than TEL guidelines indicating that sensitive species could be affected (Figure 5.37). However, in most of the river, the estimated total PCB concentrations were far below the PEL of 189 ppm (Figure 5.37), producing a low toxicity pressure throughout the basin. The PCBs were often found at levels typical for urban, industrialized environments (Daskalakis and O’Connor 1995). Most of the river’s sediments had concentrations of PCBs well below the 80 ppb that characterizes a “high” level compared to the rest of the coastal areas in the country (Durell et al. 2004). In 2020, new PCB data were available for the water only (Figure 5.37B). The same PCB congeners were detected in the water column at low levels. This could reflect disturbance of the sediment (e.g., from dredging or storms) or increased inputs into the LSJR.
When we partition the river, it becomes apparent that the western tributaries, Area 1, have far more toxicity pressure from PCBs than the main stem portions of the river. In Cedar River and Rice Creek, the average PCB concentration exceeded, by a factor of ten, the concentrations that are considered high for the nation’s coastal areas (Daskalakis and O’Connor 1995). Particularly high levels were found in the Cedar-Ortega in the late 1990s. In 2000-2003, Rice Creek was a hot spot for PCBs 105, 118, 128, 180 and 206, the first two of which are among the most toxic (ATSDR 2000) (Figure 5.38).
[Data records, kept here for reference]
<<<
No. 1
One molecule with the formula C4H7NO, computed with ωB97M-V with the def2-TZVPD basis set.

```
13
Properties=species:S:1:pos:R:3:mulliken_charge:R:1
O 1.106 2.020 0.167 -0.467
C 1.683 0.981 -0.049 0.061
C 1.026 -0.379 -0.034 -0.817
C -0.394 -0.334 0.473 0.194
C -1.475 0.212 -0.370 -0.413
N -1.351 -1.232 -0.169 -0.638
H 2.768 0.986 -0.290 0.348
H 1.654 -1.069 0.549 0.324
H 1.041 -0.770 -1.062 0.288
H -0.498 -0.169 1.545 0.393
H -1.238 0.559 -1.374 0.215
H -2.280 0.760 0.114 0.263
H -2.041 -1.565 0.500 0.250
```

Kohn-Sham gap ... 10.723 eV
Spin multiplicity ... 1
SMILES string ... O=CC[C@H]1CN1
Energy relative to the best compared isomer or geometry (same formula, charge and spin) ... 47.6 kcal per mole



No. 2
C10H18Br4Cl6O4Sr3 as an isolated structure at a distorted geometry, computed with ωB97M-V with the def2-TZVPD basis set.

```
45
Properties=species:S:1:pos:R:3:mulliken_charge:R:1
Sr -3.184 -1.513 5.934 1.182
Sr -5.681 -1.835 1.068 1.068
Sr -4.978 3.775 -0.172 1.299
O -2.169 2.827 5.242 -0.463
C -1.493 3.759 4.348 -0.025
C -2.206 5.133 3.909 -0.483
O -3.437 5.053 3.276 -0.506
H -1.180 3.321 3.401 0.222
H -0.651 4.262 4.824 0.223
H -1.521 5.671 3.254 0.303
H -2.212 5.945 4.637 0.323
O -2.014 -1.329 1.791 -0.706
C -1.363 -0.986 0.584 -0.474
C -1.751 0.146 -0.376 -0.004
O -3.094 0.160 -0.721 -0.746
H -1.241 -1.898 0.000 0.267
H -0.301 -0.823 0.766 0.226
H -1.008 0.215 -1.171 0.246
H -1.532 1.057 0.180 0.044
Br 1.475 -1.882 -8.162 -0.162
C 2.726 -1.484 -6.684 -0.600
C 1.982 -0.507 -5.688 -0.523
Br 3.275 -0.166 -4.225 -0.173
H 3.674 -1.162 -7.115 0.396
H 3.000 -2.402 -6.164 0.381
H 1.145 -1.051 -5.250 0.287
H 1.526 0.438 -5.983 0.396
Br 4.108 4.291 3.102 -0.172
C 4.311 2.364 3.507 -0.666
C 4.008 1.500 2.287 -0.456
Br 4.432 -0.309 2.853 -0.150
H 3.704 2.150 4.387 0.388
H 5.368 2.449 3.760 0.364
H 4.709 1.778 1.500 0.353
H 2.963 1.510 1.977 0.342
C 1.649 -5.336 2.479 0.124
Cl 2.296 -5.102 0.882 -0.094
Cl 2.720 -6.176 3.611 -0.114
Cl 0.044 -6.054 2.506 -0.141
H 1.481 -4.361 2.935 0.226
C -3.949 -2.573 -5.417 0.087
Cl -5.335 -3.732 -5.348 -0.133
Cl -3.703 -1.869 -7.024 -0.080
Cl -2.402 -3.402 -4.868 -0.116
H -4.190 -1.856 -4.632 0.243
```

Kohn-Sham gap ... 2.422 eV
Total charge ... +2
Spin multiplicity ... 1
Energy relative to the best compared isomer or geometry (same formula, charge and spin) ... 0.0 kcal per mole



No. 3
One molecule with the formula C3H5N3 at a distorted geometry, computed with ωB97M-V with the def2-TZVPD basis set.

```
11
Properties=species:S:1:pos:R:3:mulliken_charge:R:1
C -1.091 -0.758 0.860 -0.246
C -1.548 0.421 -0.943 -0.004
C 0.180 -0.403 0.816 0.335
N -2.002 -0.381 -0.068 -0.649
N -0.300 0.779 -0.915 -0.554
N 1.501 -0.512 0.823 -0.432
H -1.668 -1.349 1.656 0.339
H -2.236 0.702 -1.651 0.463
H 0.082 1.134 -1.788 0.201
H 1.988 -0.871 0.023 0.260
H 1.939 0.298 1.188 0.286
```

Kohn-Sham gap ... 8.889 eV
Spin multiplicity ... 1
>>>
[Here the entry continues]
5.5.5. Trends: PCBs in Sediments
The data for PCBs in sediment are scarce (1996-2003 and 2017), so trends are difficult to identify. However, the distributions of the PCBs we examined appear to be reasonably constant along the river and across the years, an outcome of the persistence of the long-banned substances. Additionally, presence of the PCB congeners in the water column supports the continued presence of PCBs in sediment.
Here the entry breaks off for quantum chemistry results:
- - -
Below is C42H106N2O12 as an isolated structure in a non-equilibrium geometry, with properties calculated with ωB97M-V/def2-TZVPD.

The calculation puts the orbital gap at 7.47 eV. Its total energy is -2673.9530 Eh. The value obtained for the max |F| is 14.93 eV/Å.

```
162
Properties=species:S:1:pos:R:3:mulliken_charge:R:1
C -2.081 35.373 12.032 -3.51
C -0.660 35.929 12.444 4.48
C -0.562 37.345 11.826 -1.51
C 0.731 38.078 12.201 -1.04
C 0.773 38.129 13.758 0.62
C 0.529 36.865 14.588 4.48
N -0.591 36.074 13.943 0.41
O -0.989 34.958 14.617 0.53
C 1.848 36.017 14.743 0.95
C 0.038 37.370 15.927 -2.05
C 0.472 35.034 11.753 -1.36
H -2.002 35.129 10.972 1.88
H -2.857 36.109 12.239 0.88
H -2.427 34.421 12.434 -1.65
H -0.586 37.278 10.738 -0.35
H -1.439 37.869 12.206 0.49
H 0.711 39.053 11.715 0.58
H 1.531 37.582 11.652 -2.43
H 0.035 38.883 14.033 0.22
H 1.760 38.573 13.891 0.39
H 1.789 35.168 15.423 -1.41
H 2.300 35.578 13.853 0.11
H 2.729 36.610 14.989 -1.39
H 0.232 36.589 16.661 0.00
H 0.586 38.276 16.185 -0.12
H -1.021 37.629 15.933 -0.11
H 0.417 34.016 12.139 -1.11
H 1.496 35.354 11.946 1.06
H 0.399 35.027 10.666 -0.09
H -1.831 35.265 14.959 -0.10
C -3.713 34.450 11.630 -1.07
C -3.633 33.634 12.938 -0.12
C -3.132 34.751 13.964 0.50
C -3.586 34.498 15.393 -0.07
C -5.062 34.205 15.502 -1.66
C -5.467 33.056 14.617 1.88
N -5.033 33.300 13.226 0.61
O -5.534 32.376 12.292 -0.51
C -4.982 31.701 15.048 -1.98
C -7.005 32.968 14.608 -1.96
C -2.545 32.595 12.996 0.07
H -4.566 35.126 11.681 0.67
H -3.638 33.780 10.774 0.55
H -2.847 35.079 11.419 0.33
H -2.051 34.875 13.893 -2.08
H -3.460 35.757 13.704 0.07
H -3.472 35.473 15.865 0.85
H -2.952 33.755 15.878 0.28
H -5.650 34.979 15.009 0.45
H -5.377 34.086 16.539 0.36
H -4.994 30.963 14.246 0.34
H -3.966 31.744 15.440 0.34
H -5.692 31.281 15.761 0.44
H -7.420 32.557 15.528 0.38
H -7.417 33.961 14.428 0.42
H -7.554 32.388 13.866 0.41
H -1.587 33.008 12.680 -1.65
H -2.794 31.734 12.376 0.08
H -2.579 32.017 13.919 0.97
H -6.233 32.888 11.880 0.37
O 0.496 34.252 9.514 -0.58
H -0.137 33.816 10.085 0.36
H 0.269 33.954 8.633 0.46
O -0.778 33.143 10.759 -0.24
H -1.370 33.509 11.416 -0.11
H -0.982 32.208 10.747 0.49
C 1.817 36.817 9.750 -0.40
C 0.738 36.369 8.743 1.05
C -0.611 36.526 9.257 -1.28
O 0.957 37.017 7.474 -0.67
H 1.831 36.265 10.689 0.18
H 1.532 37.841 9.990 1.05
H 2.836 36.915 9.374 0.40
H 0.976 35.313 8.611 -0.13
H -0.777 37.424 9.851 0.11
H -1.013 35.699 9.841 0.13
H -1.270 36.540 8.389 0.61
H 1.454 37.825 7.619 0.51
C 1.314 40.087 16.180 -1.14
C 2.447 39.722 17.161 -0.11
C 2.497 40.297 18.572 -1.55
O 2.180 38.359 17.467 -0.83
H 0.400 39.542 16.417 1.04
H 1.672 39.884 15.170 0.04
H 1.236 41.172 16.239 0.67
H 3.399 39.870 16.651 0.42
H 3.329 39.900 19.155 0.38
H 1.556 40.071 19.074 0.31
H 2.581 41.367 18.387 0.45
H 2.991 38.048 17.876 0.39
C 3.329 38.609 14.962 -2.69
C 4.228 38.012 13.848 -1.44
C 3.405 37.292 12.745 -1.01
O 5.098 39.019 13.379 -0.68
H 3.939 38.648 15.865 1.14
H 2.504 37.950 15.233 1.04
- - -
5.5.6. Summary: PCBs
PCBs persist in the LSJR long after regulatory and environmental controls were put into place. They are weathering but may continue to exert their influence, with little changes in concentration over time. Outside of the highly contaminated western tributaries, these compounds by themselves are not likely to be major stressors of benthic organisms but may exert a low-level toxicity pressure throughout the basin.
**Next to the entry, the page also holds data records:**
125
Properties=species:S:1:pos:R:3:forces:R:3:lowdin_charge:R:1 method="wB97M-V/def2-TZVPD" total_charge=+1 multiplicity=1 de_lowest_ev=3.810 orbital_gap_ev=2.71 total_energy_ev=-119244.0848 lumo_ev=-7.24
Hg -4.589197 -2.937809 1.193517 2.6 1.0 -1.2 1.337
C -1.508297 -1.144579 0.945387 -1.0 -0.3 -1.7 -0.232
O -2.670157 -1.711939 1.501017 -0.5 0.1 2.0 -0.393
H -1.477577 -0.055089 0.958227 -0.6 0.4 0.5 0.062
H -0.546227 -1.462709 1.347027 -0.2 -0.7 0.5 0.058
H -1.475757 -1.339439 -0.126563 0.3 -0.3 -0.5 0.061
C 0.356063 6.438111 1.345087 0.4 0.3 -1.9 -0.043
C 0.879933 6.071601 -0.106933 -0.6 0.4 1.0 -0.242
N 0.507653 4.752521 -0.580503 0.1 0.1 0.3 -0.193
C -0.946837 4.619851 -0.771403 0.2 -0.3 0.4 -0.259
C -1.410207 3.201581 -0.874743 0.2 -1.0 0.1 -0.106
C 1.219933 4.461491 -1.834353 1.0 0.2 0.9 -0.218
C 2.744493 4.873271 -1.907383 -1.2 -0.2 0.0 -0.075
H 0.868423 7.372321 1.574967 0.1 -0.1 0.4 0.070
H 0.629173 5.642321 2.038067 0.0 0.1 0.1 0.059
H -0.706847 6.672331 1.403947 -0.1 -0.3 -0.1 0.062
H 0.596923 6.745141 -0.915843 -0.5 1.0 0.3 0.118
H 1.962523 6.195111 -0.078023 0.0 -0.5 0.2 0.092
H -1.516847 5.016971 0.068527 0.4 0.6 -0.1 0.079
H -1.344267 5.007351 -1.709483 0.3 1.2 -0.1 0.123
H -2.488337 3.206581 -0.714433 -0.1 -0.3 -0.2 0.071
H -1.148987 2.792591 -1.850743 -0.2 -0.2 -0.1 0.058
H -0.935167 2.570571 -0.123563 0.0 -0.2 0.2 0.060
H 0.749113 5.018071 -2.644683 -0.3 -0.3 -0.5 0.113
H 1.121143 3.377131 -1.884423 0.2 0.0 -1.0 0.084
H 2.902483 5.951621 -1.924333 -0.3 0.0 0.0 0.064
H 3.093363 4.530851 -2.881613 0.3 -0.3 0.2 0.068
H 3.337663 4.496191 -1.074273 0.0 -0.3 -0.2 0.066
C 3.610693 -2.709069 -4.429523 -0.1 0.7 -0.6 -0.077
C 2.636943 -1.581409 -4.885833 1.1 -0.7 0.9 -0.226
N 2.581703 -0.479199 -3.915243 -0.9 0.5 -1.8 -0.196
C 3.810713 0.255361 -3.676553 0.3 0.0 0.0 -0.257
C 4.564283 0.746891 -4.916403 -0.5 -0.2 -0.1 -0.080
C 1.751033 -0.726309 -2.745083 2.0 -1.8 -1.1 -0.279
C 1.247903 0.500061 -2.145353 -1.7 1.3 1.3 -0.116
H 3.347503 -3.087089 -3.441633 0.0 -0.2 -0.1 0.063
H 4.614853 -2.285839 -4.404373 0.1 -0.1 0.2 0.058
H 3.648623 -3.503249 -5.175143 -0.2 -0.2 0.2 0.071
H 2.977643 -1.248439 -5.866223 -0.1 0.4 0.1 0.104
H 1.661503 -2.041909 -5.042523 -0.3 0.4 0.2 0.100
H 3.580643 1.103161 -3.031253 -0.1 0.0 0.0 0.101
H 4.539613 -0.360809 -3.150123 0.2 -0.2 0.6 0.106
H 3.882733 1.163241 -5.658193 0.0 -0.1 -0.1 0.078
H 5.280933 1.533801 -4.681323 0.0 -0.1 0.3 0.074
H 5.127503 -0.088449 -5.332433 -0.1 0.1 -0.3 0.065
H 2.405323 -1.253729 -2.050943 -0.1 -0.3 0.8 0.113
H 1.024403 -1.478689 -3.051743 -0.5 0.3 0.0 0.107
H 0.703333 1.128781 -2.849803 0.7 0.4 -0.3 0.083
H 2.002483 1.006841 -1.543793 0.1 0.4 -0.5 0.068
H 0.452183 0.341471 -1.417503 -0.1 -0.6 0.4 0.052
C -3.580327 1.939491 2.331837 -1.0 0.1 0.2 -0.209
C -2.402287 2.402081 3.206117 -1.0 -0.5 0.8 -0.225
C -2.256597 3.856351 2.968147 0.2 1.8 -1.8 -0.210
S -3.900077 4.535411 2.410967 -0.3 0.3 3.0 0.685
O -3.723137 5.095151 1.111327 0.0 0.1 -1.1 -0.316
The STATUS of PCBs in sediments is unsatisfactory, and the TREND is uncertain because data are lacking.